2023 TurboTax® Canada Tips

Tuition Tax Credits in Alberta

TurboTax Canada
March 22, 2021 | 3 Min Read

Large group of students at lecture hall. Focus is on mature teacher assisting African American female college student.

If you or your child is enrolled in university or college, tuition tax credits are a way to help to alleviate the high costs of tuition.

Federally, there are tuition tax credits that you might be eligible for, but there are also additional tuition or education tax credits for many of our provinces.  For more on the Federal tuition tax credits, read our article here.


Tuition tax credits in Alberta have allowed many students to make the most of their money spent on education tuition.  While there is a limit to how much tuition can be claimed for the tuition tax credit, tuition amount transfers are a lesser-known but highly valuable way to maximize tuition tax credits in Alberta.

With the 2020 budget, the tuition tax credit has been eliminated, therefore many students will see a decrease in the ability to claim tuition tax credits in Alberta for this coming year. That said, all years previous to 2020 will be eligible for tuition tax credits in Alberta, if the student meets the qualifications.

How to Qualify

The text is interrupted by crystal structures:
********
This record from OQMD via LeMat-Bulk describes Rb2UCl5 after structural relaxation. The functional is PBE.

Unit cell a=13.1919 b=8.9741 c=8.2442 alpha=90.00 beta=90.00 gamma=90.00
Sites, in units of the cell vectors:
Rb 0.1701 0.0060 0.0571
Rb 0.1701 0.4940 0.0571
Rb 0.3299 0.5060 0.5571
Rb 0.3299 0.9940 0.5571
Rb 0.6701 0.0060 0.4429
Rb 0.6701 0.4940 0.4429
Rb 0.8299 0.5060 0.9429
Rb 0.8299 0.9940 0.9429
U 0.0034 0.2500 0.5671
U 0.4966 0.7500 0.0671
U 0.5034 0.2500 0.9329
U 0.9966 0.7500 0.4329
Cl 0.0091 0.2500 0.9099
Cl 0.0731 0.5412 0.6640
Cl 0.0731 0.9588 0.6640
Cl 0.1781 0.2500 0.3804
Cl 0.1998 0.7500 0.3457
Cl 0.3002 0.2500 0.8457
Cl 0.3219 0.7500 0.8804
Cl 0.4269 0.0412 0.1640
Cl 0.4269 0.4588 0.1640
Cl 0.4909 0.7500 0.4099
Cl 0.5091 0.2500 0.5901
Cl 0.5731 0.5412 0.8360
Cl 0.5731 0.9588 0.8360
Cl 0.6781 0.2500 0.1196
Cl 0.6998 0.7500 0.1543
Cl 0.8002 0.2500 0.6543
Cl 0.8219 0.7500 0.6196
Cl 0.9269 0.0412 0.3360
Cl 0.9269 0.4588 0.3360
Cl 0.9909 0.7500 0.0901

Symmetry: Pnma (62)
Total energy: -4.67 eV per atom

This record from OQMD via LeMat-Bulk describes RbUCl6 after structural relaxation. The functional is PBE.

Unit cell a=7.6811 b=7.6811 c=7.6811 alpha=54.89 beta=54.89 gamma=54.89
Sites, in units of the cell vectors:
Rb 0.0000 0.0000 0.0000
U 0.5000 0.5000 0.5000
Cl 0.0895 0.5918 0.5918
Cl 0.4082 0.4082 0.9105
Cl 0.4082 0.9105 0.4082
Cl 0.5918 0.0895 0.5918
Cl 0.5918 0.5918 0.0895
Cl 0.9105 0.4082 0.4082

Symmetry: R-3m (166)
Total energy: -4.67 eV per atom

This record from OQMD via LeMat-Bulk describes RbW3Cl9 after structural relaxation. The functional is PBE.

Unit cell a=9.4258 b=9.4258 c=8.4392 alpha=90.00 beta=90.00 gamma=120.00
Sites, in units of the cell vectors:
Rb 0.3333 0.6667 0.0656
Rb 0.6667 0.3333 0.9344
W 0.0192 0.8287 0.6295
W 0.1713 0.1905 0.6295
W 0.1905 0.0192 0.3705
W 0.8095 0.9808 0.6295
W 0.8287 0.8095 0.3705
W 0.9808 0.1713 0.3705
Cl 0.0218 0.8056 0.1820
Cl 0.0391 0.6255 0.8041
Cl 0.1734 0.4204 0.5029
Cl 0.1944 0.2162 0.1820
Cl 0.2162 0.0218 0.8180
Cl 0.2470 0.8266 0.5029
Cl 0.3745 0.4136 0.8041
Cl 0.4136 0.0391 0.1959
Cl 0.4204 0.2470 0.4971
Cl 0.5796 0.7530 0.5029
Cl 0.5864 0.9609 0.8041
Cl 0.6255 0.5864 0.1959
Cl 0.7530 0.1734 0.4971
Cl 0.7838 0.9782 0.1820
Cl 0.8056 0.7838 0.8180
Cl 0.8266 0.5796 0.4971
Cl 0.9609 0.3745 0.1959
Cl 0.9782 0.1944 0.8180

Symmetry: P-3 (147)
Total energy: -5.29 eV per atom

This record from OQMD via LeMat-Bulk describes Rb3ZnCl6 after structural relaxation. The functional is PBE.

Unit cell a=7.1305 b=7.1595 c=7.9386 alpha=64.90 beta=63.95 gamma=63.71
Sites, in units of the cell vectors:
Rb 0.0000 0.0000 0.0000
Rb 0.2342 0.2651 0.2602
Rb 0.7658 0.7349 0.7398
Zn 0.5000 0.5000 0.5000
Cl 0.2098 0.7420 0.3443
Cl 0.2637 0.6061 0.8125
Cl 0.3565 0.2007 0.6423
Cl 0.6435 0.7993 0.3577
Cl 0.7363 0.3939 0.1875
Cl 0.7902 0.2580 0.6557

Symmetry: P-1 (2)
Total energy: -2.92 eV per atom
********
The crystal structures stop here:

There are a number of qualifiers that students must fulfill in order to qualify for tuition tax credits (don’t worry, most students are eligible).

Enrolled at A Qualifying College or University

There are a few other factors that determine if tuition tax credits will be awarded based on the qualifying university, especially when students are studying abroad. Most commonly, Canadian students who qualify for tuition tax credits attend a university, college, or other educational institution in Canada for post-secondary courses.

Professionals will also have the opportunity to be a part-time student as part of their career advancement. In this case, the educational institution in Canada would need to be certified by Human Resources and Skills Development Canada as a course (or courses) to acquire or improve work skills.

When Does Tuition Not Qualify?

Generally, a part-time or full-time student would not qualify for tuition tax credits if:

Claiming Tuition for Tax Credits in Alberta

Obtain your T2202 tax slip from the college or university. This form is necessary when filing your tax return, especially when a student it looking to submit a claim for tuition tax credits in Alberta. This form will allow the student to claim a federal and provincial tax credit for the amount of tuition stated on the T2202 tax slip.

In order to complete the claim for tuition, the student must file their income taxes using federal Schedule 11 as well has for AB (S11).

Transferring Tuition Amounts

While a student can claim tuition tax credits on their own taxes for the year, there is also the opportunity to transfer all or part of the unused tuition and education amounts to a parent, grandparent, spouse or common-law partner.

Here are the steps to transferring tuition for tax credits:

Carrying Forward Tuition Amounts

 While Alberta’s 2020 budget has eliminated the education and tuition tax credits, if tuition credits still remain from a year prior to the elimination of the credit, they can most likely be used in carry-forward situations.  Even if the provincial tax credit is eliminated, it currently remains in place as a federal non-refundable tax credit.

We’re Here to Support You

If the thought of tuition tax credits, provincial and federal have you a little unsure…we’re here to help. To make tax season as simple as possible, TurboTax has created solutions that work for all situations and preferences, including:

No matter your income or complexity of your return, you have an expert in your corner with TurboTax.